Now quote only the last part of the rows further down, starting with the line that has "C26H34BGe2MnN2O4S".

<<<
No. 1
{
  "formula": "C26H34BGe2MnN2O4S",
  "method": "wB97M-V/def2-TZVPD",
  "total_charge": -2,
  "multiplicity": 5,
  "e_above_lowest_kcal_mol": 14.0,
  "e_lumo_ev": [4.5562, 4.5571],
  "total_energy_ev": -194549.86459,
  "gap_ev": [6.08, 6.62],
  "symbols": ["Mn", "C", "C", "C", "C", "C", "C", "C", "S", "O", "O", "N", "C", "C", "O", "O", "H", "H", "H", "H", "H", "H", "H", "H", "H", "C", "Ge", "C", "C", "Ge", "C", "C", "C", "C", "C", "C", "C", "C", "C", "C", "C", "C", "H", "H", "H", "H", "H", "H", "H", "H", "H", "H", "H", "H", "H", "H", "H", "H", "H", "H", "H", "C", "H", "H", "H", "B", "C", "N", "H", "H", "H"],
  "xyz": [[-1.18319, 1.46278, 0.18704], [5.44444, 4.08448, 0.41928], [3.98849, 4.11595, 0.03756], [3.59757, 4.13208, -1.29787], [2.25762, 4.08698, -1.64742], [1.29202, 4.03508, -0.65325], [1.65894, 4.05533, 0.68155], [3.00326, 4.09281, 1.01754], [-0.39274, 3.80640, -1.16209], [-0.42924, 2.38790, -1.62885], [-0.65495, 4.74655, -2.23226], [-1.19473, 3.93028, 0.15460], [-2.61070, 4.25788, 0.03652], [-3.54002, 3.09581, -0.34771], [-4.68867, 3.36312, -0.67842], [-3.05237, 1.90770, -0.24510], [6.05000, 3.68139, -0.39314], [5.59118, 3.44860, 1.29292], [5.81853, 5.08484, 0.65579], [4.35424, 4.13492, -2.07507], [1.95312, 4.06464, -2.68631], [0.88908, 3.99989, 1.43771], [3.29232, 4.04767, 2.06124], [-2.79972, 5.07005, -0.66884], [-2.95531, 4.60062, 1.01575], [-0.33401, -4.52790, 1.75575], [-0.70604, -2.57579, 1.89287], [-2.10504, -2.44451, 3.30273], [0.90462, -1.87714, 2.79273], [-1.38540, -1.35623, -0.14163], [-2.75402, -2.63474, -0.88568], [-3.41658, -3.62450, -0.15618], [-4.37117, -4.45401, -0.73845], [-4.69033, -4.31546, -2.08140], [-4.04794, -3.33482, -2.82959], [-3.10248, -2.51071, -2.23582], [0.11185, -1.91014, -1.37237], [0.75605, -0.95048, -2.15739], [1.78570, -1.29459, -3.02818], [2.19517, -2.61548, -3.13918], [1.56394, -3.58994, -2.37437], [0.53821, -3.23535, -1.50729], [-0.41603, -4.98712, 2.74531], [0.68389, -4.67931, 1.38940], [-1.02318, -5.03435, 1.07735], [-1.84792, -3.08316, 4.15313], [-3.09354, -2.73160, 2.93828], [-2.16641, -1.41147, 3.65222], [1.07249, -2.43366, 3.71977], [0.79387, -0.81939, 3.03503], [1.78672, -1.97510, 2.15800], [-3.18542, -3.76242, 0.89464], [-4.86275, -5.21308, -0.13863], [-5.43156, -4.95999, -2.54031], [-4.28943, -3.20929, -3.87965], [-2.61660, -1.74815, -2.83692], [0.46362, 0.09131, -2.08700], [2.27326, -0.52177, -3.61168], [3.00357, -2.88457, -3.81006], [1.87511, -4.62697, -2.44937], [0.05080, -4.01210, -0.92353], [-1.70698, 1.36450, 2.14998], [-1.00982, 0.71864, 2.67867], [-2.72289, 0.97743, 2.16618], [-1.65697, 2.39429, 2.50746], [3.42086, 0.59594, 1.19729], [1.88054, 0.83119, 0.92316], [0.76239, 1.03715, 0.72291], [3.68769, 1.14740, 2.25375], [3.60848, -0.60236, 1.26377], [4.03450, 1.09608, 0.27310]]
}

---

No. 2
{
  "formula": "C38H76O14",
  "method": "wB97M-V/def2-TZVPD",
  "e_above_lowest_kcal_mol": 0.0,
  "e_lumo_ev": 0.5240,
  "total_energy_ev": -69299.56074,
  "gap_ev": 9.62,
  "smiles": "COC(=O)OC.COC(=O)OC.C1CCOC1.C1CCOC1.C1CCOC1.C1CCOC1.C1CCOC1.C1CCOC1.C1CCOC1.C1CCOC1",
  "symbols": ["C", "C", "C", "O", "C", "H", "H", "H", "H", "H", "H", "H", "H", "C", "C", "C", "O", "C", "H", "H", "H", "H", "H", "H", "H", "H", "C", "C", "C", "O", "C", "H", "H", "H", "H", "H", "H", "H", "H", "C", "C", "C", "O", "C", "H", "H", "H", "H", "H", "H", "H", "H", "C", "C", "C", "O", "C", "H", "H", "H", "H", "H", "H", "H", "H", "C", "C", "C", "O", "C", "H", "H", "H", "H", "H", "H", "H", "H", "C", "C", "C", "O", "C", "H", "H", "H", "H", "H", "H", "H", "H", "C", "C", "C", "O", "C", "H", "H", "H", "H", "H", "H", "H", "H", "C", "O", "C", "O", "O", "C", "H", "H", "H", "H", "H", "H", "C", "O", "C", "O", "O", "C", "H", "H", "H", "H", "H", "H"],
>>>

  "formula": "C26H34BGe2MnN2O4S",
  "method": "wB97M-V/def2-TZVPD",
  "total_charge": -2,
  "multiplicity": 5,
  "e_above_lowest_kcal_mol": 14.0,
  "e_lumo_ev": [4.5562, 4.5571],
  "total_energy_ev": -194549.86459,
  "gap_ev": [6.08, 6.62],
  "symbols": ["Mn", "C", "C", "C", "C", "C", "C", "C", "S", "O", "O", "N", "C", "C", "O", "O", "H", "H", "H", "H", "H", "H", "H", "H", "H", "C", "Ge", "C", "C", "Ge", "C", "C", "C", "C", "C", "C", "C", "C", "C", "C", "C", "C", "H", "H", "H", "H", "H", "H", "H", "H", "H", "H", "H", "H", "H", "H", "H", "H", "H", "H", "H", "C", "H", "H", "H", "B", "C", "N", "H", "H", "H"],
  "xyz": [[-1.18319, 1.46278, 0.18704], [5.44444, 4.08448, 0.41928], [3.98849, 4.11595, 0.03756], [3.59757, 4.13208, -1.29787], [2.25762, 4.08698, -1.64742], [1.29202, 4.03508, -0.65325], [1.65894, 4.05533, 0.68155], [3.00326, 4.09281, 1.01754], [-0.39274, 3.80640, -1.16209], [-0.42924, 2.38790, -1.62885], [-0.65495, 4.74655, -2.23226], [-1.19473, 3.93028, 0.15460], [-2.61070, 4.25788, 0.03652], [-3.54002, 3.09581, -0.34771], [-4.68867, 3.36312, -0.67842], [-3.05237, 1.90770, -0.24510], [6.05000, 3.68139, -0.39314], [5.59118, 3.44860, 1.29292], [5.81853, 5.08484, 0.65579], [4.35424, 4.13492, -2.07507], [1.95312, 4.06464, -2.68631], [0.88908, 3.99989, 1.43771], [3.29232, 4.04767, 2.06124], [-2.79972, 5.07005, -0.66884], [-2.95531, 4.60062, 1.01575], [-0.33401, -4.52790, 1.75575], [-0.70604, -2.57579, 1.89287], [-2.10504, -2.44451, 3.30273], [0.90462, -1.87714, 2.79273], [-1.38540, -1.35623, -0.14163], [-2.75402, -2.63474, -0.88568], [-3.41658, -3.62450, -0.15618], [-4.37117, -4.45401, -0.73845], [-4.69033, -4.31546, -2.08140], [-4.04794, -3.33482, -2.82959], [-3.10248, -2.51071, -2.23582], [0.11185, -1.91014, -1.37237], [0.75605, -0.95048, -2.15739], [1.78570, -1.29459, -3.02818], [2.19517, -2.61548, -3.13918], [1.56394, -3.58994, -2.37437], [0.53821, -3.23535, -1.50729], [-0.41603, -4.98712, 2.74531], [0.68389, -4.67931, 1.38940], [-1.02318, -5.03435, 1.07735], [-1.84792, -3.08316, 4.15313], [-3.09354, -2.73160, 2.93828], [-2.16641, -1.41147, 3.65222], [1.07249, -2.43366, 3.71977], [0.79387, -0.81939, 3.03503], [1.78672, -1.97510, 2.15800], [-3.18542, -3.76242, 0.89464], [-4.86275, -5.21308, -0.13863], [-5.43156, -4.95999, -2.54031], [-4.28943, -3.20929, -3.87965], [-2.61660, -1.74815, -2.83692], [0.46362, 0.09131, -2.08700], [2.27326, -0.52177, -3.61168], [3.00357, -2.88457, -3.81006], [1.87511, -4.62697, -2.44937], [0.05080, -4.01210, -0.92353], [-1.70698, 1.36450, 2.14998], [-1.00982, 0.71864, 2.67867], [-2.72289, 0.97743, 2.16618], [-1.65697, 2.39429, 2.50746], [3.42086, 0.59594, 1.19729], [1.88054, 0.83119, 0.92316], [0.76239, 1.03715, 0.72291], [3.68769, 1.14740, 2.25375], [3.60848, -0.60236, 1.26377], [4.03450, 1.09608, 0.27310]]
}

---

No. 2
{
  "formula": "C38H76O14",
  "method": "wB97M-V/def2-TZVPD",
  "e_above_lowest_kcal_mol": 0.0,
  "e_lumo_ev": 0.5240,
  "total_energy_ev": -69299.56074,
  "gap_ev": 9.62,
  "smiles": "COC(=O)OC.COC(=O)OC.C1CCOC1.C1CCOC1.C1CCOC1.C1CCOC1.C1CCOC1.C1CCOC1.C1CCOC1.C1CCOC1",
  "symbols": ["C", "C", "C", "O", "C", "H", "H", "H", "H", "H", "H", "H", "H", "C", "C", "C", "O", "C", "H", "H", "H", "H", "H", "H", "H", "H", "C", "C", "C", "O", "C", "H", "H", "H", "H", "H", "H", "H", "H", "C", "C", "C", "O", "C", "H", "H", "H", "H", "H", "H", "H", "H", "C", "C", "C", "O", "C", "H", "H", "H", "H", "H", "H", "H", "H", "C", "C", "C", "O", "C", "H", "H", "H", "H", "H", "H", "H", "H", "C", "C", "C", "O", "C", "H", "H", "H", "H", "H", "H", "H", "H", "C", "C", "C", "O", "C", "H", "H", "H", "H", "H", "H", "H", "H", "C", "O", "C", "O", "O", "C", "H", "H", "H", "H", "H", "H", "C", "O", "C", "O", "O", "C", "H", "H", "H", "H", "H", "H"],